_Request_
The reader should filter the rows underneath: keep the lines with the word "Kα2".

_Entries_
+++
(1)
Computed powder XRD pattern of SnP2O7 for Cu Kα (weighted mean of Kα1 and Kα2), from a crystal structure in the Materials Project, relaxed with GGA-PBE.
No peak broadening, texture or thermal motion is included.

Crystal structure
a b c (Å): 5.1746 6.8548 8.4593
angles (deg): 68.93 87.73 87.89
Space group P-1 (No. 2)
Inequivalent atoms, fractional coordinates:
1 Sn 0.2450 0.2108 0.2338 [2 per cell]
2 P 0.2392 0.1105 0.6691 [2 per cell]
3 P 0.2759 0.4555 0.8091 [2 per cell]
4 O 0.0443 0.9415 0.2761 [2 per cell]
5 O 0.0977 0.6456 0.7300 [2 per cell]
6 O 0.1753 0.3017 0.9792 [2 per cell]
7 O 0.2806 0.3372 0.6766 [2 per cell]
8 O 0.3030 0.1388 0.4863 [2 per cell]
9 O 0.4272 0.9558 0.7922 [2 per cell]
10 O 0.4442 0.4826 0.1856 [2 per cell]

Largest 8 diffraction maxima, by angle, 15° ≤ 2θ ≤ 90°:
d_spacing	two_theta	Rel. int.	hkl
4.069	21.8	86	1 1 0
3.973	22.4	94	1 -1 0
3.945	22.5	100	0 0 2
2.904	30.8	34	1 2 1
2.813	31.8	22	0 1 3
2.804	31.9	22	-1 2 1
2.585	34.7	26	2 0 0
2.555	35.1	19	1 -1 2

(2)
Computed powder XRD pattern of SnP2O7 for Cu Kα (weighted mean of Kα1 and Kα2), from a crystal structure in the Materials Project, relaxed with GGA-PBE.
No peak broadening, texture or thermal motion is included.

Crystal structure
a b c (Å): 8.4212 5.2446 13.7445
angles (deg): 90.00 109.15 90.00
Space group P2_1/c (No. 14)
Inequivalent atoms, fractional coordinates:
1 Sn 0.2359 0.2470 0.1427 [4 per cell]
2 P 0.1962 0.7353 0.9772 [4 per cell]
3 P 0.3236 0.7346 0.7988 [4 per cell]
4 O 0.0205 0.7051 0.4044 [4 per cell]
5 O 0.2190 0.5528 0.2312 [4 per cell]
6 O 0.2200 0.0445 0.5124 [4 per cell]
7 O 0.2415 0.0273 0.2679 [4 per cell]
8 O 0.2592 0.5848 0.5688 [4 per cell]
9 O 0.3229 0.7155 0.4138 [4 per cell]
10 O 0.4931 0.2377 0.6942 [4 per cell]

Largest 8 diffraction maxima, by angle, 15° ≤ 2θ ≤ 90°:
d_spacing	two_theta	Rel. int.	hkl
4.080	21.8	100	0 1 2
3.978	22.4	68	2 0 0
2.867	31.2	34	1 1 -4
2.797	32.0	10	3 0 -2
2.622	34.2	15	0 2 0
2.593	34.6	19	2 1 2
2.409	37.3	16	1 2 -2
1.989	45.6	11	4 0 0

(3)
Computed powder XRD pattern of Sn2P5O15 for Cu Kα (weighted mean of Kα1 and Kα2), from a crystal structure in the Materials Project, relaxed with GGA-PBE.
No peak broadening, texture or thermal motion is included.

Crystal structure
a b c (Å): 5.4794 9.3506 13.7487
angles (deg): 90.00 113.02 90.00
Space group Pc (No. 7)
Inequivalent atoms, fractional coordinates:
1 Sn 0.0000 0.2106 0.0000 [2 per cell]
2 Sn 0.9195 0.2126 0.6515 [2 per cell]
3 P 0.2646 0.3065 0.4942 [2 per cell]
4 P 0.3761 0.0204 0.4191 [2 per cell]
5 P 0.4575 0.0321 0.2180 [2 per cell]
6 P 0.6447 0.3028 0.1586 [2 per cell]
7 P 0.9585 0.4884 0.8238 [2 per cell]
8 O 0.0574 0.4097 0.7517 [2 per cell]
9 O 0.0654 0.3315 0.5420 [2 per cell]
10 O 0.1860 0.3980 0.3866 [2 per cell]
11 O 0.2006 0.1116 0.8974 [2 per cell]
12 O 0.2148 0.0461 0.1153 [2 per cell]
13 O 0.2177 0.1450 0.4493 [2 per cell]
14 O 0.3624 0.3285 0.0820 [2 per cell]
15 O 0.3661 0.0879 0.3095 [2 per cell]
16 O 0.5539 0.3327 0.5580 [2 per cell]
17 O 0.5878 0.1103 0.7439 [2 per cell]
18 O 0.6585 0.0058 0.4972 [2 per cell]
19 O 0.6707 0.1523 0.2192 [2 per cell]
20 O 0.7063 0.4127 0.2549 [2 per cell]
21 O 0.8608 0.3093 0.1167 [2 per cell]
22 O 0.8695 0.4054 0.8985 [2 per cell]

Largest 8 diffraction maxima, by angle, 15° ≤ 2θ ≤ 90°:
+++

_Response_
Computed powder XRD pattern of SnP2O7 for Cu Kα (weighted mean of Kα1 and Kα2), from a crystal structure in the Materials Project, relaxed with GGA-PBE.
Computed powder XRD pattern of SnP2O7 for Cu Kα (weighted mean of Kα1 and Kα2), from a crystal structure in the Materials Project, relaxed with GGA-PBE.
Computed powder XRD pattern of Sn2P5O15 for Cu Kα (weighted mean of Kα1 and Kα2), from a crystal structure in the Materials Project, relaxed with GGA-PBE.